Heat recovery
Data centers have made many improvements towards sustainability over the last few decades. This covers everything from reducing power usage effectiveness (PUE) and carbon usage effectiveness (CUE), to improving water usage effectiveness (WUE). But, now it is time to take the next revolutionary leap for the data center industry.
By taking care of waste heat, data centers can also be energy suppliers. This not only increases overall profitability, but it also improves the metrics of their energy reuse effectiveness (ERE).
The cooling process is one of the highest contributors to electricity usage in your average data center. It also accounts for higher operational costs and significant environmental concerns due its carbon footprint. So, harnessing this energy in a heat recovery process will mean that the waste energy is used in other applications and the growing impact is reduced.
With that said, there are some challenges to recycling dater center heat, as the heating activity can often require a higher temperature than the cooling water found in your average data center. Luckily, with a heat pump, you can fix this problem and reach the required temperature.
What's best of all, it can actually benefit the cooling performance of your system!

Heat reuse opportunities
Data centers have the potential to contribute to creating a more sustainable environment with the right cooling technology inside. Thanks to the fast development of this technology, we are able to convert the waste heat emitted from IT equipment into a rage of temperatures for many new applications. In other words, we can improve data center heat recovery to accommodate the growing capacity per rack, reduce electricity usage in the industry, and improve overall carbon emissions.
With that, here are different cooling methods available, their corresponding temperatures, and examples of the heat reuse opportunities:
- Computer room air handling unit / Chilled water to air 30°C Learn more>>
- Rear door cooling 40°C Learn more>>
- Direct to chip cooling / Cold plate 45°C Learn more>>
- Immersion cooling 55°C Learn more>>
Direct heat recovery
When the process temperature requirements for waste heat from a dater center is low, it is possible to connect the consumer to the cooling loop without increasing temperature levels. This is an ideal scenario, as adding a heat pump to increase the temperature requires electricity.
Thanks to the growing liquid-to-liquid cooling technology we can improve efficiency and recover more heat when the temperature demands are higher. Adding a plate heat exchanger is recommended here, as it helps avoid interference between two systems and acts as a system breaker.
Examples of applications that can use direct heat are space heating, green houses, insect farms, fish farms, algae farms, desalination plants, wood- and biomass-drying and much more.
Heat recovery using a heat pump
If the required process temperature is higher than the temperature of the cooling water from the data center, a heat pump can be connected to increase the temperature. A heat pump works as an inverted fridge; the cooling water from the data center is used to evaporate a synthetic freon or a natural refrigerant. The chosen refrigerant is pressurized in a compressor so that it can be released at a higher temperature in a condenser. This heat can then be used in the industry process, district heating water, or domestic hot water for example.
To maximize energy efficiency and minimize power consumption in the compressor, a heat pump with a high Coefficient of Performance (COP) should be used. The most sustainable solution, with the highest COP, is to use a natural refrigerant such as carbon dioxide or ammonia. Combine one of these natural refrigerants with a brazed or semi welded plate heat exchanger for the most energy efficient results.
In case of seasonal variations, a heat pump can be combined with other cooling solutions (such as free cooling or chillers) to achieve optimal system efficiency.
Multidimensional savings
The combination of waste heat recovery and a well designed plate heat exchanger will improve the cost efficiency and sustainability of a data center in many ways.
What's more, heat recovery solutions are key to accelerating the transition towards net-zero emissions. In this video you will learn about efficiency metrics and the role that waste heat recovery plays in creating a sustainable data center.
Heat recovery solutions
How do we design data centers on a more sustainable scale? Well, it is important to find the right temperatures that suit the cooling process as much as the heating process. We have the solution. By combining a heat pump, natural refrigerants, and an Alfa Laval plate heat exchanger you can achieve a higher COP (Coefficient Of Performance). This will allow you to reach the desired temperatures and enhance your cooling system performance at the same time. It's a win win.
At Alfa Laval we have the leading expertise to help you optimize your cooling and waste heat recovery. Watch this video of our experts, Christian Kempe and Jesper Olsen, to learn more about how to design sustainable data centers.
The benefits of plate heat exchangers
- Enable heat recovery
- Efficient system breaker to secure interference and responsibility
- Volume isolation
- Reduce and simplify maintenance
- Reduce the cost of cooling your production
- Certified performance in accordance with AHRI regulations
Turn to efficiency
Alfa Laval plate heat exchangers can operate with the same small temperature difference as evaporators. To fully benefit this efficiency, we have developed the U-Turn separator. This efficient module is also very compact, and the connections are grouped to allow the module to be installed close to walls or on the perimeter of a main skid.
- Designed for natural ammonia refrigerant
- Minimum pressure drop losses, maximum energy efficiency
- Close temperature approach, space saving design
- Complete solution including our heat exchanger and separator technology
The benefits of the Alfa Laval U-turn
- Designed for natural refrigerants
- Complete solution including our plate heat exchanger and separator technology
- Minimum pressure drop losses
- Maximum energy efficiency
- Close temperature approach
- Space saving design
- Available for semi-welded-plate-heat-exchangers and Alfa Nova fusion bonded plate heat exchangers

Discover the future of green IT with Alfa Laval
Alfa Laval has supplied solutions for cooling server rooms since the earliest days of the internet. Today, we offer a wide range of solutions for data center cooling, all backed by a worldwide service network with experts who understand your business. By partnering with us as you begin planning your data center project, we can help you design a system that ensures you get maximum cooling efficiency and reliability.
Audit performa
Pakar terlatih kami meninjau dan menganalisis performa termal sebenarnya dari peralatan Anda. Dengan menggunakan alat modern, para pakar dapat mendeteksi fouling atau risiko serupa, sehingga memungkinkan Anda merencanakan kebutuhan pemeliharaan secara lebih baik untuk mengoptimalkan waktu operasional sistem.

== Between two parts of the entry: molecular data ==
<<<
1.
This record from OMol25 describes a structure of composition C13H34N2O5Tl. The level of theory is wB97M-V/def2-TZVPD.

XYZ file:
```
55
Properties=species:S:1:pos:R:3:forces:R:3:mulliken_charge:R:1
Tl -0.213673 0.110170 0.186657 1.97 -1.44 -0.36 2.46
C -0.553763 3.907650 -0.902403 0.89 -0.14 0.14 -0.93
O -0.724383 2.451570 -1.036153 -0.91 0.04 -0.29 -0.14
C -1.793583 2.223130 -1.952393 -0.16 -1.76 -2.01 -0.96
C -1.804993 0.720490 -2.525033 2.57 2.10 0.46 -1.01
N -2.069643 -0.141330 -1.355233 0.50 0.01 -3.68 -0.55
C -2.179023 -1.530800 -1.704823 0.71 -1.97 -0.38 -0.65
C -0.873763 -2.204160 -2.070733 0.50 0.18 -0.59 -0.77
O 0.072457 -2.212240 -0.995293 -2.14 1.12 0.48 -0.11
C 1.138507 -3.089140 -1.240303 -1.23 -3.38 -0.91 -1.10
H -1.484333 4.454480 -0.750393 -0.12 -0.39 0.19 0.44
H -0.074673 4.290710 -1.803433 -0.08 -0.08 -0.13 0.36
H 0.152667 4.034880 -0.082113 -0.78 0.35 -0.12 0.22
H -1.704333 2.834460 -2.850393 0.28 0.33 0.14 0.57
H -2.763653 2.471260 -1.521703 -0.10 -0.05 0.30 0.51
H -0.823673 0.471250 -2.928743 0.37 0.33 0.14 0.38
H -2.409183 0.602870 -3.424603 -0.95 -0.04 0.51 0.61
H -3.024823 0.186000 -1.331033 -0.50 -0.11 1.93 0.41
H -2.799873 -1.689470 -2.586573 -0.44 0.06 0.14 0.53
H -2.575413 -2.046790 -0.830333 -0.25 -0.42 -0.43 0.19
H -0.379343 -1.678530 -2.887653 -0.11 0.01 -0.37 0.42
H -1.085953 -3.208240 -2.438023 0.00 -0.13 0.27 0.55
H 0.716557 -4.081380 -1.400083 -0.32 -0.07 -0.54 0.40
H 1.802237 -3.279110 -0.396813 -1.69 -0.19 -0.27 0.13
H 1.704277 -2.763560 -2.113223 -0.46 -0.72 0.01 0.50
C 2.830107 -1.606340 -0.686233 2.50 1.46 0.65 -1.34
O 1.808397 -1.350150 0.289237 1.22 0.89 2.26 0.11
C 2.224007 -1.786050 1.634377 -1.37 -0.24 0.45 -0.49
C 0.961117 -1.842260 2.534557 0.29 -0.18 -1.18 -1.20
N 0.174507 -0.597570 2.550747 0.44 -0.30 -0.81 -0.34
C 0.773697 0.542920 3.225037 1.27 1.51 -1.16 -0.89
C 1.757007 1.408250 2.284857 0.30 0.00 1.26 -0.60
O 1.323867 1.515000 0.939977 -0.24 0.23 -1.03 -0.13
C 1.965027 2.592020 0.219357 -0.41 1.93 -0.86 -1.31
H 3.757657 -1.085820 -0.447903 -0.10 0.34 0.21 0.29
H 2.502267 -1.302660 -1.680413 0.12 0.24 0.45 0.33
H 3.009097 -2.681030 -0.652983 1.45 1.12 -0.26 0.60
H 3.028807 -1.209520 2.090487 -0.01 0.38 -0.46 0.46
H 2.556627 -2.824060 1.634647 0.24 -0.09 -0.54 0.45
H 1.167557 -2.176960 3.551147 0.43 0.14 0.02 0.57
H 0.251077 -2.555850 2.116557 0.29 -0.38 -0.10 0.43
H -0.604013 -0.876850 3.130417 -0.81 0.32 -0.27 0.28
H 1.389417 0.243550 4.073197 -0.20 -0.01 0.20 0.38
H -0.094783 1.121700 3.539477 0.48 0.51 0.22 0.50
H 2.807087 1.122030 2.225607 -0.10 -1.01 0.36 0.40
H 1.893207 2.432050 2.633287 -0.77 0.08 0.55 0.56
H 3.048887 2.668750 0.132997 0.13 -1.25 0.39 0.41
H 1.683477 3.551570 0.653067 0.10 -0.24 0.80 0.53
H 1.521117 2.721390 -0.767713 0.31 -0.98 0.00 0.44
C -3.185043 -0.138620 0.986047 -1.20 -1.43 -0.01 -0.60
O -2.104153 0.715430 0.767807 -1.10 3.02 2.51 -0.40
H -2.997213 -0.969610 0.306127 -0.57 -0.12 1.13 0.10
H -3.241153 -0.440570 2.031887 -0.31 -0.01 -0.16 0.31
>>>

Pembersihan di tempat
Sistem pembersihan di tempat (CIP) Alfa Laval memungkinkan pembersihan in-line heat exchanger yang cepat dan mudah untuk mengelola fouling. Dengan bahan pembersih yang ramah lingkungan dan dapat terurai secara hayati, CIP kami meniadakan pembukaan berulang yang tidak perlu pada peralatan Anda. Hasilnya, Anda mengurangi penggunaan suku cadang dan jam kerja yang dibutuhkan untuk pemeliharaan secara drastis.

Alfa Laval merekomendasikan agar sering melakukan backflushing pada aliran air pendingin yang masuk untuk waktu yang singkat. Dalam urutan ini, air yang dialirkan berlawan arah dapat mengikis dan membuang kotoran yang terakumulasi di permukaan plate heat exchanger. Penggunaan peralatan backflush akan menghemat waktu dan uang, sekaligus meminimalkan waktu henti operasional.

Ready to learn more?
Want to find out how we can boost the cost efficiency and sustainability of your data center with smart cooling tower solutions based on leading plate heat exchanger technologies? Contact us today, and our experts will be in touch!